[Material]
-- begin --
1.
A plane-wave DFT calculation with PBE was carried out for TiAl3Rh4 after structural relaxation.

Properties
E_form in kcal/mol of atoms: -24.0
Fermi-level density of states in states/eV/f.u.: 3.705
Uncorrected energy in eV/atom: -7.1074

Structure (CIF):
```
data_TiAl3Rh4
_cell_length_a 4.2652
_cell_length_b 4.2652
_cell_length_c 6.1210
_cell_angle_alpha 90.00
_cell_angle_beta 90.00
_cell_angle_gamma 90.00
_symmetry_space_group_name_H-M 'P 4/m m m'
_symmetry_Int_Tables_number 123
_symmetry_space_group_name_Hall '-P 4 2'
loop_
_atom_site_label
_atom_site_type_symbol
_atom_site_fract_x
_atom_site_fract_y
_atom_site_fract_z
Ti1 Ti 0.0000 0.0000 0.0000
Al1 Al 0.0000 0.0000 0.5000
Al2 Al 0.5000 0.5000 0.0000
Al3 Al 0.5000 0.5000 0.5000
Rh1 Rh 0.0000 0.5000 0.2538
```

***

2.
A plane-wave DFT calculation with PBE was carried out for PmMg2Ag3 after structural relaxation.

Properties
E_form in kcal/mol of atoms: -5.8
Energy relative to the lowest polymorph listed for this composition in eV per atom: 0.000
Fermi-level density of states in states/eV/f.u.: 3.974
Uncorrected energy in eV/atom: -2.9996

Structure (CIF):
```
data_PmMg2Ag3
_cell_length_a 4.7744
_cell_length_b 4.7744
_cell_length_c 13.1940
_cell_angle_alpha 90.00
_cell_angle_beta 90.00
_cell_angle_gamma 120.00
_symmetry_space_group_name_H-M 'P 63/m m c'
_symmetry_Int_Tables_number 194
_symmetry_space_group_name_Hall '-P 6c 2c'
loop_
_atom_site_label
_atom_site_type_symbol
_atom_site_fract_x
_atom_site_fract_y
_atom_site_fract_z
Pm1 Pm 0.0000 0.0000 0.2500
Mg1 Mg 0.3333 0.6667 0.0762
Ag1 Ag 0.0000 0.0000 0.0000
Ag2 Ag 0.3333 0.6667 0.6363
```

----------

No. 1
The following is a DFT calculation (GGA-PBE) of crystalline Pm4NiPBr2 at its relaxed geometry.

Values from the calculation:
SG: P2/m (10)
Formation energy without anion corrections (eV per atom): -1.12

a b c (Å): 4.003 7.355 7.662
angles (deg): 107.04 90.00 90.00
Sites, in units of the cell vectors:
Pm (0.500, 0.217, 0.197)
Pm (0.500, 0.783, 0.803)
Pm (0.000, 0.266, 0.793)
Pm (0.000, 0.734, 0.207)
Ni (0.000, 0.000, 0.000)
P (0.500, 0.500, 0.000)
Br (0.500, 0.000, 0.500)
Br (0.000, 0.500, 0.500)

---

No. 2
The following is a DFT calculation (GGA-PBE) of crystalline Ca3Ce2In4 at its relaxed geometry.

Values from the calculation:
Formation energy from the elements (eV per atom): -0.314
SG: P-3m1 (164)

a b c (Å): 5.450 5.451 10.520
angles (deg): 89.98 90.00 60.01
Sites, in units of the cell vectors:
Ca (0.334, 0.333, 0.422)
Ca (0.000, 0.000, 0.000)
Ca (0.666, 0.667, 0.578)
Ce (0.333, 0.334, 0.799)
Ce (0.667, 0.666, 0.201)
In (0.667, 0.667, 0.892)
In (0.000, 0.999, 0.343)
In (0.000, 0.001, 0.657)
In (0.333, 0.333, 0.108)

---

No. 3
The following is a DFT calculation (GGA-PBE) of crystalline YZrBe2 at its relaxed geometry.

Values from the calculation:
Formation energy from the elements (eV per atom): 0.375
SG: Pmm2 (25)
Relative energy among the computed polymorphs (meV per atom): 374.3

a b c (Å): 3.278 4.169 5.551
angles (deg): 90.00 90.00 90.00
Sites, in units of the cell vectors:
Y (0.000, 0.000, 0.444)
Be (0.000, 0.000, 0.950)
Be (0.500, 0.500, 0.284)
Zr (0.500, 0.500, 0.822)

----------

Entry 1:
This record from the Alexandria database describes CuGeTe2 after structural relaxation. The functional is PBE-GGA.

Output
**Volume**: 29.63 Å³/atom
**ΔE_f (raw)**: -0.05 eV per formula unit

```
CuGeTe2
1.0
7.563 0.000 0.000
0.000 7.369 0.000
0.000 0.000 8.505
Te Ge Cu
8 4 4
Direct
0.852 0.412 0.105 Te
0.400 0.088 0.126 Te
0.352 0.088 0.605 Te
0.852 0.912 0.395 Te
0.400 0.588 0.374 Te
0.900 0.412 0.626 Te
0.352 0.588 0.895 Te
0.900 0.912 0.874 Te
0.515 0.421 0.638 Ge
0.015 0.079 0.138 Ge
0.515 0.921 0.862 Ge
0.015 0.579 0.362 Ge
0.507 0.420 0.125 Cu
0.007 0.580 0.875 Cu
0.507 0.920 0.375 Cu
0.007 0.080 0.625 Cu
```

=====

Entry 2:
This record from the Alexandria database describes Sr2BeH6Au after structural relaxation. The functional is PBE-GGA.

Output
**Volume**: 12.74 Å³/atom
-- stop --

[Request]
Next, transcribe the listing further up from the line with "(0.000, 0.500," to the end without additions.

[Solution]
Br (0.000, 0.500, 0.500)

---

No. 2
The following is a DFT calculation (GGA-PBE) of crystalline Ca3Ce2In4 at its relaxed geometry.

Values from the calculation:
Formation energy from the elements (eV per atom): -0.314
SG: P-3m1 (164)

a b c (Å): 5.450 5.451 10.520
angles (deg): 89.98 90.00 60.01
Sites, in units of the cell vectors:
Ca (0.334, 0.333, 0.422)
Ca (0.000, 0.000, 0.000)
Ca (0.666, 0.667, 0.578)
Ce (0.333, 0.334, 0.799)
Ce (0.667, 0.666, 0.201)
In (0.667, 0.667, 0.892)
In (0.000, 0.999, 0.343)
In (0.000, 0.001, 0.657)
In (0.333, 0.333, 0.108)

---

No. 3
The following is a DFT calculation (GGA-PBE) of crystalline YZrBe2 at its relaxed geometry.

Values from the calculation:
Formation energy from the elements (eV per atom): 0.375
SG: Pmm2 (25)
Relative energy among the computed polymorphs (meV per atom): 374.3

a b c (Å): 3.278 4.169 5.551
angles (deg): 90.00 90.00 90.00
Sites, in units of the cell vectors:
Y (0.000, 0.000, 0.444)
Be (0.000, 0.000, 0.950)
Be (0.500, 0.500, 0.284)
Zr (0.500, 0.500, 0.822)

----------

Entry 1:
This record from the Alexandria database describes CuGeTe2 after structural relaxation. The functional is PBE-GGA.

Output
**Volume**: 29.63 Å³/atom
**ΔE_f (raw)**: -0.05 eV per formula unit

```
CuGeTe2
1.0
7.563 0.000 0.000
0.000 7.369 0.000
0.000 0.000 8.505
Te Ge Cu
8 4 4
Direct
0.852 0.412 0.105 Te
0.400 0.088 0.126 Te
0.352 0.088 0.605 Te
0.852 0.912 0.395 Te
0.400 0.588 0.374 Te
0.900 0.412 0.626 Te
0.352 0.588 0.895 Te
0.900 0.912 0.874 Te
0.515 0.421 0.638 Ge
0.015 0.079 0.138 Ge
0.515 0.921 0.862 Ge
0.015 0.579 0.362 Ge
0.507 0.420 0.125 Cu
0.007 0.580 0.875 Cu
0.507 0.920 0.375 Cu
0.007 0.080 0.625 Cu
```

=====

Entry 2:
This record from the Alexandria database describes Sr2BeH6Au after structural relaxation. The functional is PBE-GGA.

Output
**Volume**: 12.74 Å³/atom